Exercise:
Give back only the lines underneath with the word "Pm" in them.

Input:
~~~
--- 1 ---
The following is a GGA-PBE calculation of an optimized crystal structure of Pm8Al2In, from the Alexandria database.

```
Pm8Al2In
1.0
4.885 0.000 -1.483
-1.053 7.801 -3.469
0.068 -0.726 9.009
Pm Al In
8 2 1
Direct
0.661 0.880 0.322
0.339 0.558 0.678
0.145 0.145 0.289
0.000 0.314 0.000
0.855 0.855 0.711
0.661 0.442 0.322
0.339 0.120 0.678
0.000 0.686 0.000
0.193 0.693 0.385
0.807 0.307 0.615
0.500 0.000 0.000
```

Total moment in Bohr magnetons per cell: 0.00
Theoretical density in kg/m3: 6673

=====

--- 2 ---
The following is a GGA-PBE calculation of an optimized crystal structure of Pm8Al2In, from the Alexandria database.

```
Pm8Al2In
1.0
-1.190 4.868 -0.240
-4.932 -1.520 -6.362
-3.544 -3.077 7.604
Pm Al In
8 2 1
Direct
0.394 0.541 0.789
0.680 0.945 0.361
0.850 0.781 0.700
0.946 0.271 0.891
0.150 0.219 0.300
0.320 0.055 0.639
0.606 0.459 0.211
0.054 0.729 0.109
0.778 0.350 0.556
0.222 0.650 0.444
0.500 0.000 0.000
```

Total moment in Bohr magnetons per cell: 0.00
Theoretical density in kg/m3: 6746

=====

Least stable of them? 1.

=====

--- 1 ---
The following is a GGA-PBE calculation of an optimized crystal structure of TbPmAlIn, from the Alexandria database.

```
TbPmAlIn
1.0
3.716 0.000 0.000
0.000 3.716 0.000
0.000 0.000 7.567
Tb Pm Al In
1 1 1 1
Direct
0.500 0.500 0.597
0.500 0.500 0.118
0.000 0.000 0.365
0.000 0.000 0.849
```

Total moment in Bohr magnetons per cell: 0.00
Theoretical density in kg/m3: 7082

=====

--- 2 ---
The following is a GGA-PBE calculation of an optimized crystal structure of TbPmAlIn, from the Alexandria database.

```
TbPmAlIn
1.0
5.290 0.000 0.000
2.645 4.581 0.000
2.645 1.527 4.319
In Tb Al Pm
1 1 1 1
Direct
0.250 0.250 0.250
0.500 0.500 0.500
0.750 0.750 0.750
0.000 0.000 0.000
```

Total moment in Bohr magnetons per cell: 0.00
Theoretical density in kg/m3: 7071

=====

Least stable of them? 2.

=====

--- 1 ---
The following is a GGA-PBE calculation of an optimized crystal structure of PmTmAlIn, from the Alexandria database.

```
PmTmAlIn
1.0
3.682 0.000 0.000
0.000 3.682 0.000
0.000 0.000 7.515
Pm Tm Al In
1 1 1 1
Direct
0.500 0.500 0.118
0.500 0.500 0.596
0.000 0.000 0.371
0.000 0.000 0.842
```

Total moment in Bohr magnetons per cell: 0.00
Theoretical density in kg/m3: 7429

=====

--- 2 ---
The following is a GGA-PBE calculation of an optimized crystal structure of PmTmAlIn, from the Alexandria database.

```
PmTmAlIn
1.0
5.251 0.000 0.000
2.626 4.548 0.000
2.626 1.516 4.288
Tm In Al Pm
1 1 1 1
Direct
0.500 0.500 0.500
0.250 0.250 0.250
0.750 0.750 0.750
0.000 0.000 0.000
```

Total moment in Bohr magnetons per cell: 0.00
Theoretical density in kg/m3: 7390

=====

Least stable of them? 2.

=====

--- 1 ---
The following is a GGA-PBE calculation of an optimized crystal structure of PmYAlIn, from the Alexandria database.

```
PmYAlIn
1.0
3.708 0.000 0.000
0.000 3.708 0.000
0.000 0.000 7.572
Pm Y Al In
1 1 1 1
Direct
0.500 0.500 0.118
0.500 0.500 0.597
0.000 0.000 0.366
0.000 0.000 0.847
```

Total moment in Bohr magnetons per cell: 0.00
Theoretical density in kg/m3: 5993

=====

--- 2 ---
The following is a GGA-PBE calculation of an optimized crystal structure of PmYAlIn, from the Alexandria database.

```
PmYAlIn
1.0
-4.158 1.097 -3.070
-3.743 -3.647 -0.780
-4.784 0.622 2.155
Y In Al Pm
1 1 1 1
Direct
0.750 0.750 0.750
0.000 0.000 0.000
0.500 0.500 0.500
0.250 0.250 0.250
```

Total moment in Bohr magnetons per cell: 0.00
Theoretical density in kg/m3: 5981

=====

Least stable of them? 2.

=====

--- 1 ---
The following is a GGA-PBE calculation of an optimized crystal structure of Pr8Al2In, from the Alexandria database.

```
Pr8Al2In
1.0
-3.940 -0.814 -3.237
5.657 -1.019 -6.630
-0.505 -6.567 6.385
Pr Al In
8 2 1
Direct
0.661 0.881 0.322
0.339 0.560 0.678
0.145 0.145 0.290
0.000 0.316 0.000
0.855 0.855 0.710
0.661 0.440 0.322
0.339 0.119 0.678
0.000 0.684 0.000
0.193 0.693 0.385
0.807 0.307 0.615
0.500 0.000 0.000
```

Total moment in Bohr magnetons per cell: 0.00
~~~

Done:
Pm Al In
Pm Al In
Tb Pm Al In
In Tb Al Pm
Pm Tm Al In
Tm In Al Pm
Pm Y Al In
Y In Al Pm